(March 25, 2010): The Recovery Audit Contractor (RAC) program is an integral part of the Centers for Medicare & Medicaid Services’ (CMS’) "benefit integrity" efforts which seek to identify and recoup alleged overpayments paid to Medicare providers. Similarly, Program SafeGuard Contractors (PSCs) have been actively auditing Medicare providers and suppliers around the country. While the RAC program is still being expanded in many parts of the country (to cover not only hospitals but also other providers and types of Medicare claims), the PSC program is in the process of being replaced by Zone Program Integrity Contractors (ZPICs) ZPICs are already active in many areas and are actively conducting Medicare audits of physicians, home health agencies, hospices, DME companies, therapy clinics, chiropractors and other small to mid-sized health care providers. Despite the "hype" surrounding RACs, at this time, ZPICs represent a significantly greater risk to non-hospital providers than do RACs or PSCs. The purpose of this article to examine a number of the differences between these various Medicare audit contractor programs.
== Someone pasted calculated molecules at this point ==
=====
93
Properties=species:S:1:pos:R:3:mulliken_charge:R:1 method="wB97M-V/def2-TZVPD" orbital_gap_ha=0.2431 charge=-1 e_above_lowest_ev=0.0000 largest_force_ev_per_a=2.884 energy_ha=-2825.27870 homo_ev=-4.26
C -2.146 2.090 -0.093 0.440
C -1.200 2.164 -0.835 -1.803
C -0.300 2.100 -2.043 0.071
O 1.024 2.411 -1.705 -0.608
P 1.951 0.987 -1.262 0.994
C 1.374 1.052 0.591 -0.454
C 2.549 1.080 1.545 0.063
O 2.856 0.164 2.229 -0.502
I 3.750 2.915 1.717 -0.155
O 0.599 -0.021 -1.772 -0.511
C -0.202 0.659 -2.646 0.558
S 0.523 0.953 -4.369 -0.346
H -2.985 2.178 0.551 0.619
H -0.682 2.872 -2.716 0.615
H 3.004 1.935 -0.931 -0.125
H 2.729 -0.186 -0.877 -0.195
H 2.608 0.889 -2.517 -0.131
H 0.816 1.977 0.789 0.284
H 0.802 0.170 0.885 0.087
H -1.136 0.178 -2.896 0.049
H 0.624 2.297 -4.455 0.102
C -4.665 6.491 5.554 -0.701
O -3.323 6.810 5.246 -0.329
C -2.385 6.438 6.249 -0.810
C -1.529 5.264 5.810 -0.159
N -2.303 4.030 5.744 -0.336
C -1.621 2.920 5.074 -1.013
C -1.214 3.085 3.610 -0.153
O -2.295 3.143 2.699 -0.316
C -2.909 4.408 2.561 -0.619
H -5.299 7.006 4.834 0.233
H -4.854 5.416 5.466 0.290
H -4.931 6.823 6.562 0.332
H -2.880 6.234 7.203 0.398
H -1.729 7.301 6.395 0.393
H -0.713 5.133 6.528 0.375
H -1.089 5.526 4.840 0.169
H -3.168 4.212 5.255 0.108
H -2.293 2.061 5.130 0.426
H -0.731 2.662 5.656 0.404
H -0.650 2.192 3.332 0.173
H -0.535 3.931 3.453 0.328
H -2.195 5.227 2.676 0.292
H -3.734 4.528 3.271 0.177
H -3.334 4.462 1.557 0.343
C -4.659 -3.478 2.187 -0.704
O -3.699 -4.210 1.451 -0.325
C -4.244 -5.058 0.449 -0.836
C -3.964 -4.530 -0.946 -0.152
N -4.729 -3.321 -1.226 -0.331
C -4.315 -2.605 -2.434 -1.076
C -2.887 -2.067 -2.516 -0.492
O -2.609 -1.002 -1.631 -0.175
C -2.271 -1.378 -0.308 -0.370
H -4.152 -3.044 3.047 0.236
H -5.085 -2.662 1.595 0.292
H -5.466 -4.127 2.541 0.333
H -5.315 -5.225 0.604 0.400
H -3.741 -6.024 0.554 0.390
H -4.238 -5.299 -1.676 0.381
H -2.884 -4.361 -1.020 0.166
H -4.643 -2.690 -0.441 0.123
H -4.990 -1.752 -2.539 0.402
H -4.494 -3.256 -3.297 0.431
H -2.761 -1.651 -3.520 0.405
H -2.132 -2.856 -2.418 0.431
H -1.720 -2.321 -0.278 0.298
H -3.164 -1.440 0.322 0.184
H -1.636 -0.592 0.100 -0.037
C 6.717 -4.598 -1.491 -0.707
O 7.324 -3.923 -2.577 -0.327
C 7.033 -4.478 -3.853 -0.813
C 6.102 -3.587 -4.654 -0.158
N 4.756 -3.576 -4.097 -0.326
C 3.876 -2.540 -4.643 -0.870
C 4.269 -1.074 -4.464 -0.446
O 4.206 -0.613 -3.135 -0.272
C 5.329 -0.900 -2.328 -0.754
H 7.176 -4.227 -0.576 0.236
H 5.643 -4.393 -1.440 0.299
H 6.877 -5.678 -1.557 0.330
H 6.634 -5.493 -3.766 0.408
H 7.987 -4.542 -4.387 0.384
H 6.055 -3.959 -5.683 0.354
H 6.548 -2.584 -4.675 0.178
H 4.816 -3.442 -3.097 0.090
H 2.903 -2.673 -4.166 0.427
H 3.734 -2.738 -5.712 0.410
H 3.531 -0.479 -5.010 0.291
H 5.244 -0.839 -4.912 0.351
H 6.263 -0.891 -2.900 0.352
H 5.212 -1.860 -1.815 0.200
H 5.384 -0.130 -1.559 0.332

* * * * *

Density functional theory data (wB97M-V/def2-TZVPD) for a molecular structure, C14H14Br30F3N2O2 in a non-equilibrium geometry.

Structure (XYZ):
```
65
=====
I. What Are The Chances of Your Practice Being Reported by a ZPIC or RAC to DOJ for Possible Fraud?
While both Medicare audit contractor programs are designed to "find and prevent waste, fraud and abuse in Medicare," the fact is that to date, ZPICs have been much more likely than RACs to report possible incidents of "fraud" that are identified while conducting Medicare audits. Frankly, it makes sense. RACs make money by identifying alleged overpayments – not by making a fraud referral to law enforcement. Notably, as a result of recent criticism by HHS-OIG, CMS will be requiring RACs to be much more diligent in the future about making referrals to law enforcement when it appears that a health care provider’s conduct represents fraud rather than a mere overpayment. CMS has provided training to RACs on how to identify fraud in the near future. Importantly, a RAC denial of claims which results in a provider repayment will not necessarily prevent HHS-OIG from investigating and making a referral to DOJ for possible prosecution, as appropriate, if there are allegations of fraud or abuse arising out of the alleged overpayment.
Notably, recent letters by ZPICs conducting Medicare audits in South Texas and in other parts of the country have been seeking copies of business related records (copies of contracts, agreements with Medical Directors, lease agreements and more), along with its request for claims-related medical documentation. Importantly, the contractor is assessing the provider's business relationships to help verify that referral and other business relationships do not violate the Federal Anti-Kickback Statute or Stark Law. To reduce the possibility of civil or criminal liability, it is essential that Medicare providers take affirmative steps to better ensure that their practices are compliant with applicable statutory and regulatory requirements. 2011 will be the "Year of Compliance." All providers, regardless of size, should take steps to implement an effective Compliance Program. Should you not have a compliance program in place, give us a call -- we can help.
II. What is the Difference Between a ZPIC and a PSC?
Representatives of both a ZPIC and Program Safeguard Contractor (PSC) will argue that they are not "bounty hunters" in the Medicare audit process. A ZPIC is are not paid contingency fees like RACs and are paid directly by CMS on a contractual basis. Nevertheless, common sense tells us that if ZPICs aren’t successful at identifying alleged overpayments through Medicare audits, the chances of a particular contractor getting their contract with CMS renewed are pretty slim. Experience has shown that both a ZPIC and a PSC don’t always appear to strictly adhere to medical review standards established by Medicare Administrative Contractors (MACs) and approved by CMS. In our opinion, there appear to have been cases where these contractors applied their own unwritten standards, often denying claims based on conjecture and speculation rather than a strict application of the applicable LCD or LMRP.
In any event, over the last year, we have seen ZPIC and PSC auditors readily place health care providers on pre-payment review, conduct post-payment Medicare audits, and recommend suspensions of payment. Additionally, in many cases they have been extrapolating the alleged damages based on a sample of claims reviewed. Finally, as discussed above, identified instances of potential fraud are being referred by a ZPIC or a PSC to HHS-OIG for possible investigation, referral for prosecution and / or administrative sanction.
III. What Sources of Coding / Billing Data are Used by ZPICs During Medicare Audits?
ZPICs are required to use a variety of techniques, both proactive and reactive, to address any potentially fraudulent practices. Proactive techniques will include the ZPIC IT Systems that will combine claims data (fiscal intermediary, regional home health intermediary, carrier, and durable medical equipment regional carrier data) and other source of information to create a platform for conducting complex data analyses. By combining data from various sources, ZPICs have been able to assemble a fairly comprehensive picture of a beneficiary’s claim history regardless of where the claim was processed. The primary source of this data is reportedly CMS’ National Claims History (NCH) database.
IV. How do ZPICs Conduct Medical Reviews?
During their Medicare audits, ZPICs conduct medical reviews of charts to determine, among other things, whether the service submitted was actually provided, and whether the service was medically reasonably and necessary. Based upon their findings, ZPICs may approve, downcode or deny a claim. To date, we have never seen a ZPIC conclude that a claim should have been coded at a higher level, only a lower level. Regrettably, ZPICs are not required to have a physician review a claim in order to deny coverage. In most of the cases on which we have worked, the contractor’s medical reviewer has been a Registered Nurse. While some Federal courts have found that a treating physician’s opinion should be given paramount weight, others have ruled that the opinion of a treating physician should not be given any special consideration. Generally, ZPICs have completely disregarded the "Treating Physician Rule," despite the fact that a patient’s treating physician was the only provider to have actually seen and assessed the patient at issue.
V. How Should You Respond to a ZPIC Medicare Audit?
In responding to a ZPIC audit, it is important to remember that although they may not technically be "bounty hunters," in our opinion, they are in the business of finding fault. Moreover, they are quite adept at identifying "technical" errors, many of which they will readily cite when denying your Medicare claims. Unfortunately, it is not at all uncommon for a ZPIC to find that 75% -- 100 % of the sample of claims reviewed did not qualify for coverage and payment by Medicare. After extrapolating the damages to the universe of claims at issue, health care providers often find that they are facing alleged overpayments of between $150,000 and several million dollars. In many cases, the assessment is far in excess of the provider's ability to pay. As such, the administrative appeal becomes a "bet the farm" matter for the health care provider. If the assessment remains, the provider will have no choice but to declare bankruptcy.
It is also important to remember that ZPIC enforcement actions are not limited to merely overpayment assessments. In recent months, ZPICs have been increasingly conducting unexpected site visits of health care provider's offices and facilities, often requesting immediate access to a limited number of claims and the medical records supporting the services billed to Medicare. Typically, they then require that a provider send supporting documentation covering a wider list of claims within 30 days of their visit. In other cases, should a ZPIC identify serious problems when reviewing the medical records requested, they may recommend to CMS that the provider's Medicare billing privileges be suspended. From a practical standpoint, few providers are diversified (in terms of payor mix) to the point that they can easily do without Medicare reimbursement. The practical effect of a Medicare suspension is therefore that the provider cannot continue in business throughout the 180-day initial period of suspension typically imposed by CMS. Finally, in a limited number of cases, after a ZPIC or PSC has visited an office, the provider will subsequently learn that the contractor has recommended that the provider's Medicare number be revoked. In a fairly recent case we are aware of (not involving a client of the Firm), the contractor claimed that the provider failed to cooperate, a clear violation of the provider's "Conditions of Participation" with Medicare. As a result, the contractor recommended (and CMS approved) the revocation of the provider's Medicare number. Short of exclusion from participation in the Medicare program, this is arguably the most serious and far-reaching administrative action that can be taken against a Medicare provider.
In light of the seriousness of the situation, regardless of whether you are contacted by a RAC, a ZPIC or a PSC, you must take great care when responding to Medicare audits. Administrative enforcement actions can be extraordinarily serious. Therefore, is essential that you engage an experienced attorney and law firm to represent your interest.
Read more about ZPIC Medicare audits.

Robert W. Liles, J.D., M.S., M.B.A., is a health lawyer with Liles Parker PLLC. Liles Parker has offices in Washington, DC, Houston, TX and San Antonio, TX. Prior to entering private practice, Mr. Liles served as an Assistant U.S. Attorney. He now represents health care providers around the country in connection with administrative, civil and criminal health law issues. He has extensive experience defending providers in audits by a ZPIC, PSC or another Medicare / Medicaid contractors. For a complimentary consultation, please call: 1 (800) 475-1906.